Search the data further down for the word "C12" and write out each line that has it, please.
+++
[1]
C22H19BiN4 | ωB97M-V with the def2-TZVPD basis set

Cartesian coordinates (Å):
Bi1 -0.1871 -0.1762 -0.3068
C1 4.3971 0.1613 -0.5185
C2 4.7996 -0.0042 0.8004
C3 3.8404 -0.0383 1.8012
C4 2.4964 0.0635 1.4502
N1 2.1300 0.2092 0.1730
C5 3.0416 0.2684 -0.7878
C6 1.4089 0.0074 2.4301
C7 1.6451 0.0972 3.8020
C8 0.5854 0.0383 4.6903
C9 -0.7033 -0.0704 4.1856
C10 -0.8746 -0.1459 2.8164
N2 0.1521 -0.1238 1.9691
H1 5.1144 0.1924 -1.3214
H2 5.8434 -0.1154 1.0502
H3 4.1373 -0.1657 2.8277
H4 2.6762 0.4061 -1.7960
H5 2.6416 0.2348 4.1873
H6 0.7598 0.0796 5.7549
H7 -1.5570 -0.0930 4.8415
H8 -1.8604 -0.2198 2.3859
C11 -3.3610 -0.8002 0.1736
N3 -2.3461 0.2416 0.2039
C12 -2.6436 1.5073 0.1350
C13 -1.6147 2.4385 -0.0368
C14 -1.5460 3.8364 0.0128
C15 -0.2093 4.1804 -0.1703
C16 0.5017 3.0053 -0.3428
N4 -0.3337 1.9496 -0.2655
C17 -4.0965 -0.8011 -1.1487
C18 -5.4790 -0.7024 -1.2074
C19 -6.1273 -0.7308 -2.4319
C20 -5.3983 -0.8444 -3.6042
C21 -4.0159 -0.9310 -3.5502
C22 -3.3704 -0.9114 -2.3285
H9 -4.0763 -0.6513 0.9866
H10 -2.8619 -1.7635 0.3207
H11 -3.6768 1.8318 0.2117
H12 -2.3611 4.5146 0.1784
H13 0.1956 5.1716 -0.1810
H14 1.5522 2.8758 -0.5148
H15 -6.0590 -0.6153 -0.3022
H16 -7.2037 -0.6676 -2.4726
H17 -5.9008 -0.8676 -4.5585
H18 -3.4418 -1.0239 -4.4592
H19 -2.2897 -0.9854 -2.2859

Results
**Energy above the lowest of the compared OMol25 structures with the same formula, charge and spin**: 0.0 kJ/mol
**LUMO level**: -0.2662 hartree
**Electronic energy**: -34908.3003 eV
**Frontier orbital gap**: 0.256 hartree
**Strongest force on any atom**: 0.98 eV/Å
**Charge**: +2

Atom charges from the Mulliken analysis, given in e for atoms 1 to 8:
1 Bi 1.097
2 C -0.759
3 C -0.513
4 C -0.782
5 C 0.682
6 N -0.033
7 C -0.192
8 C 0.902

***

[2]
C22H19BiN4 | ωB97M-V with the def2-TZVPD basis set

Cartesian coordinates (Å):
Bi1 0.0605 -1.3067 -1.2753
C1 4.3426 -0.0472 -1.4761
C2 4.3420 1.3310 -1.6550
C3 3.1398 1.9869 -1.8541
C4 1.9462 1.2798 -1.8622
N1 1.9648 -0.0580 -1.6682
C5 3.1356 -0.7031 -1.4913
C6 -0.6944 1.2907 -2.1156
C7 -1.3324 2.6464 -1.9665
C8 -2.7849 2.4869 -1.6870
C9 -3.3370 1.4510 -2.3388
C10 -2.5335 0.4852 -3.1122
N2 -1.2487 0.3557 -3.0535
H1 5.2580 -0.6033 -1.3347
H2 5.2715 1.8846 -1.6550
H3 3.1154 3.0547 -2.0272
H4 3.0867 -1.7794 -1.3662
H5 -1.2482 3.1618 -2.9297
H6 -3.3801 3.1968 -1.1273
H7 -4.4056 1.2853 -2.3307
H8 -3.0708 -0.2188 -3.7414
C11 0.8704 -1.9726 1.9612
N3 0.4293 -0.9662 0.9564
C12 0.2000 0.2504 1.3041
C13 -0.2331 1.1680 0.2730
C14 0.0647 2.4742 0.1936
C15 -0.0257 3.0507 -1.1872
C16 0.6649 1.9964 -2.1879
N4 -0.7600 0.5408 -0.8512
C17 -0.3143 -2.5081 2.7172
C18 -0.5590 -2.0949 4.0198
C19 -1.6780 -2.5611 4.6980
C20 -2.5538 -3.4351 4.0735
C21 -2.3089 -3.8566 2.7718
C22 -1.1894 -3.3973 2.0988
H9 1.5863 -1.4923 2.6290
H10 1.3918 -2.7657 1.4237
H11 0.3744 0.5850 2.3248
H12 0.4506 3.0377 1.0316
H13 0.2913 4.0848 -1.2576
H14 0.7787 2.4822 -3.1565
H15 0.1322 -1.4244 4.5179
H16 -1.8581 -2.2479 5.7173
H17 -3.4210 -3.8028 4.6045
H18 -2.9803 -4.5570 2.2939
H19 -0.9808 -3.7686 1.0984

Results
**Energy above the lowest of the compared OMol25 structures with the same formula, charge and spin**: 283.5 kJ/mol
**LUMO level**: -0.2728 hartree
**Electronic energy**: -34905.3625 eV
**Frontier orbital gap**: 0.260 hartree
**Strongest force on any atom**: 0.13 eV/Å
**Charge**: +2

Atom charges from the Mulliken analysis, given in e for atoms 1 to 8:
1 Bi 0.989
2 C -0.875
3 C -0.444
4 C -0.453
5 C -0.045
6 N -0.051
7 C 0.047
8 C 0.645

***

[3]
C22H19BrN5O4SV | ωB97M-V with the def2-TZVPD basis set

Cartesian coordinates (Å):
V1 0.8075 0.5054 0.0177
O1 3.4711 1.6579 3.1594
C1 2.5236 1.2610 2.3323
O2 2.6844 1.1554 1.1285
C2 1.2136 0.9648 2.9667
C3 0.8759 1.1401 4.2923
C4 -0.4500 0.8996 4.6492
C5 -1.3701 0.5258 3.6839
C6 -0.9366 0.3713 2.3722
N1 0.3324 0.5686 2.0505
C7 -1.8494 0.0581 1.1918
O3 -3.0322 -0.1231 1.4088
O4 -1.2448 0.0410 0.0525
H1 4.2783 1.8495 2.6511
H2 1.6114 1.4632 5.0143
H3 -0.7607 1.0255 5.6776
H4 -2.4139 0.3586 3.9102
+++
C12 -2.6436 1.5073 0.1350
C12 0.2000 0.2504 1.3041